**Given**
********
# 1
Diffraction record for K3Sb5Au6. The powder XRD pattern is theoretical, not measured: it uses a GGA-PBE-relaxed structure and Cu Kα (weighted mean of Kα1 and Kα2).
Neutral-atom scattering factors, no anomalous dispersion.

Structure:
```
data_K3Sb5Au6
_chemical_formula_sum 'K6 Sb10 Au12'
_cell_length_a 4.595
_cell_length_b 13.680
_cell_length_c 11.991
_cell_angle_alpha 90.00
_cell_angle_beta 90.00
_cell_angle_gamma 90.00
_space_group_name_H-M_alt 'P 1'
_space_group_IT_number 1
_space_group_name_Hall 'P 1'
loop_
_atom_site_label
_atom_site_type_symbol
_atom_site_fract_x
_atom_site_fract_y
_atom_site_fract_z
_atom_site_occupancy
K1 K 0.250 0.098 0.243 1
K2 K 0.250 0.402 0.243 1
K3 K 0.250 0.750 0.252 1
K4 K 0.750 0.250 0.748 1
K5 K 0.750 0.598 0.757 1
K6 K 0.750 0.902 0.757 1
Sb1 Sb 0.250 0.077 0.642 1
Sb2 Sb 0.250 0.423 0.642 1
Sb3 Sb 0.250 0.618 0.995 1
Sb4 Sb 0.250 0.750 0.616 1
Sb5 Sb 0.250 0.882 0.995 1
Sb6 Sb 0.750 0.118 0.005 1
Sb7 Sb 0.750 0.250 0.384 1
Sb8 Sb 0.750 0.382 0.005 1
Sb9 Sb 0.750 0.577 0.358 1
Sb10 Sb 0.750 0.923 0.358 1
Au1 Au 0.250 0.062 0.872 1
Au2 Au 0.250 0.250 0.512 1
Au3 Au 0.250 0.250 0.997 1
Au4 Au 0.250 0.438 0.872 1
Au5 Au 0.250 0.579 0.491 1
Au6 Au 0.250 0.921 0.491 1
Au7 Au 0.750 0.079 0.509 1
Au8 Au 0.750 0.421 0.509 1
Au9 Au 0.750 0.562 0.128 1
Au10 Au 0.750 0.750 0.003 1
Au11 Au 0.750 0.750 0.488 1
Au12 Au 0.750 0.938 0.128 1
```

Peak list (10 most intense, 10° ≤ 2θ ≤ 80°, sorted by position)
2θ/deg	d [Å]	intensity
14.8	5.995	79
20.7	4.291	20
20.8	4.262	17
29.7	3.004	17
31.4	2.848	100
39.2	2.298	38
39.5	2.280	26
41.0	2.199	88
56.9	1.618	18
72.3	1.307	17


# 2
Diffraction record for K2Sb2Au3. The powder XRD pattern is theoretical, not measured: it uses a GGA-PBE-relaxed structure and Cu Kα (weighted mean of Kα1 and Kα2).
Neutral-atom scattering factors, no anomalous dispersion.

Structure:
```
data_K2Sb2Au3
_chemical_formula_sum 'K2 Sb2 Au3'
_cell_length_a 6.633
_cell_length_b 6.633
_cell_length_c 7.824
_cell_angle_alpha 121.29
_cell_angle_beta 121.29
_cell_angle_gamma 40.90
_space_group_name_H-M_alt 'P 1'
_space_group_IT_number 1
_space_group_name_Hall 'P 1'
loop_
_atom_site_label
_atom_site_type_symbol
_atom_site_fract_x
_atom_site_fract_y
_atom_site_fract_z
_atom_site_occupancy
K1 K 0.159 0.159 0.286 1
K2 K 0.841 0.841 0.714 1
Sb1 Sb 0.135 0.135 0.757 1
Sb2 Sb 0.865 0.865 0.243 1
Au1 Au 0.410 0.410 0.061 1
Au2 Au 0.500 0.500 0.500 1
Au3 Au 0.590 0.590 0.939 1
```

Peak list (10 most intense, 10° ≤ 2θ ≤ 80°, sorted by position)
2θ/deg	d [Å]	intensity
14.8	5.972	100
17.1	5.173	56
21.0	4.230	82
29.2	3.054	54
30.6	2.920	93
32.4	2.767	51
38.5	2.337	96
38.9	2.318	71
39.8	2.266	74
42.5	2.125	70


# 3
Diffraction record for KSn2Sb2Au6. The powder XRD pattern is theoretical, not measured: it uses a GGA-PBE-relaxed structure and Cu Kα (weighted mean of Kα1 and Kα2).
Neutral-atom scattering factors, no anomalous dispersion.

Structure:
```
data_KSn2Sb2Au6
_chemical_formula_sum 'K1 Sn2 Sb2 Au6'
_cell_length_a 5.840
_cell_length_b 7.225
_cell_length_c 7.304
_cell_angle_alpha 71.64
_cell_angle_beta 85.33
_cell_angle_gamma 85.55
_space_group_name_H-M_alt 'P 1'
_space_group_IT_number 1
_space_group_name_Hall 'P 1'
loop_
_atom_site_label
_atom_site_type_symbol
_atom_site_fract_x
_atom_site_fract_y
_atom_site_fract_z
_atom_site_occupancy
K1 K 0.000 0.000 0.000 1
Sn1 Sn 0.114 0.627 0.636 1
Sn2 Sn 0.886 0.373 0.364 1
Sb1 Sb 0.491 0.159 0.162 1
Sb2 Sb 0.509 0.841 0.838 1
Au1 Au 0.236 0.009 0.519 1
Au2 Au 0.237 0.516 0.015 1
Au3 Au 0.358 0.410 0.416 1
Au4 Au 0.642 0.590 0.584 1
Au5 Au 0.763 0.484 0.985 1
Au6 Au 0.764 0.991 0.481 1
```

Peak list (10 most intense, 10° ≤ 2θ ≤ 80°, sorted by position)
2θ/deg	d [Å]	intensity
15.1	5.862	100
25.7	3.460	49
26.0	3.425	64
35.8	2.508	41
37.1	2.426	42
37.5	2.401	70
39.3	2.294	46
39.5	2.279	54
41.6	2.173	33
42.5	2.126	51


Question: Which formula does entry 3 have?
Answer: KSn2Sb2Au6


Question: What is the formula in the third record?
Answer: KSn2Sb2Au6

----------
********

**Wanted**
Return the rows above from the line with "0.750 0.562" to the end without additions.

**Done**
Au9 Au 0.750 0.562 0.128 1
Au10 Au 0.750 0.750 0.003 1
Au11 Au 0.750 0.750 0.488 1
Au12 Au 0.750 0.938 0.128 1
```

Peak list (10 most intense, 10° ≤ 2θ ≤ 80°, sorted by position)
2θ/deg	d [Å]	intensity
14.8	5.995	79
20.7	4.291	20
20.8	4.262	17
29.7	3.004	17
31.4	2.848	100
39.2	2.298	38
39.5	2.280	26
41.0	2.199	88
56.9	1.618	18
72.3	1.307	17


# 2
Diffraction record for K2Sb2Au3. The powder XRD pattern is theoretical, not measured: it uses a GGA-PBE-relaxed structure and Cu Kα (weighted mean of Kα1 and Kα2).
Neutral-atom scattering factors, no anomalous dispersion.

Structure:
```
data_K2Sb2Au3
_chemical_formula_sum 'K2 Sb2 Au3'
_cell_length_a 6.633
_cell_length_b 6.633
_cell_length_c 7.824
_cell_angle_alpha 121.29
_cell_angle_beta 121.29
_cell_angle_gamma 40.90
_space_group_name_H-M_alt 'P 1'
_space_group_IT_number 1
_space_group_name_Hall 'P 1'
loop_
_atom_site_label
_atom_site_type_symbol
_atom_site_fract_x
_atom_site_fract_y
_atom_site_fract_z
_atom_site_occupancy
K1 K 0.159 0.159 0.286 1
K2 K 0.841 0.841 0.714 1
Sb1 Sb 0.135 0.135 0.757 1
Sb2 Sb 0.865 0.865 0.243 1
Au1 Au 0.410 0.410 0.061 1
Au2 Au 0.500 0.500 0.500 1
Au3 Au 0.590 0.590 0.939 1
```

Peak list (10 most intense, 10° ≤ 2θ ≤ 80°, sorted by position)
2θ/deg	d [Å]	intensity
14.8	5.972	100
17.1	5.173	56
21.0	4.230	82
29.2	3.054	54
30.6	2.920	93
32.4	2.767	51
38.5	2.337	96
38.9	2.318	71
39.8	2.266	74
42.5	2.125	70


# 3
Diffraction record for KSn2Sb2Au6. The powder XRD pattern is theoretical, not measured: it uses a GGA-PBE-relaxed structure and Cu Kα (weighted mean of Kα1 and Kα2).
Neutral-atom scattering factors, no anomalous dispersion.

Structure:
```
data_KSn2Sb2Au6
_chemical_formula_sum 'K1 Sn2 Sb2 Au6'
_cell_length_a 5.840
_cell_length_b 7.225
_cell_length_c 7.304
_cell_angle_alpha 71.64
_cell_angle_beta 85.33
_cell_angle_gamma 85.55
_space_group_name_H-M_alt 'P 1'
_space_group_IT_number 1
_space_group_name_Hall 'P 1'
loop_
_atom_site_label
_atom_site_type_symbol
_atom_site_fract_x
_atom_site_fract_y
_atom_site_fract_z
_atom_site_occupancy
K1 K 0.000 0.000 0.000 1
Sn1 Sn 0.114 0.627 0.636 1
Sn2 Sn 0.886 0.373 0.364 1
Sb1 Sb 0.491 0.159 0.162 1
Sb2 Sb 0.509 0.841 0.838 1
Au1 Au 0.236 0.009 0.519 1
Au2 Au 0.237 0.516 0.015 1
Au3 Au 0.358 0.410 0.416 1
Au4 Au 0.642 0.590 0.584 1
Au5 Au 0.763 0.484 0.985 1
Au6 Au 0.764 0.991 0.481 1
```

Peak list (10 most intense, 10° ≤ 2θ ≤ 80°, sorted by position)
2θ/deg	d [Å]	intensity
15.1	5.862	100
25.7	3.460	49
26.0	3.425	64
35.8	2.508	41
37.1	2.426	42
37.5	2.401	70
39.3	2.294	46
39.5	2.279	54
41.6	2.173	33
42.5	2.126	51


Question: Which formula does entry 3 have?
Answer: KSn2Sb2Au6


Question: What is the formula in the third record?
Answer: KSn2Sb2Au6

----------